Realigning goals in the age of uncertainty

 2020 is the year that keeps popping dream bubbles right and left. COVID-19 derailed many goals and as the continued use of “unprecedented” and “historic” are in the common lexicon when referring to 2020, I think it’s safe to say that most people feel we are in unusual times.

“A delay is not a denial. It is only a sign that you need to have peace, patience, and trust that in perfect timing what you want will come to you.” ~Anonymous

While setbacks and delays may mean that a dream or a goal seems even further away than when you started, just because something takes longer to happen, doesn’t mean it has been denied.

We are a culture that has become accustomed to plenty and instant gratification. Delays, obstacles and challenges are not necessarily common and waiting can be difficult. At these times, patience and persistence can seem difficult to come by. Examining the wreckage that this pandemic has wrought and the uncertainty of an unpredictable future, makes it challenging to want to commit to goals. But now more than ever, we need to avoid the apathy of rudderless life and re-imagine more agile and adaptive goals.

When you feel disheartened, remember that micro-steps and persistence are keys to keeping dreams alive. A step forward is a step forward. Those longer term visions still need the consistency and persistence of micro-steps today.

Spending time identifying and honoring the micro-steps is critical to momentum and progress. It is the progress and not the perfection that holds weight when the going gets tough. Without recognition of the process and persistence, it could be easy to become disillusioned and succumb to self-inflicted deadlines and unrealistic pressures.

********
This record from the Materials Project describes a geometry-optimized LiCoH8C2O10 structure. The functional is GGA+U.

Cell lengths 5.3914, 5.3914, 15.2813 Å; angles 81.55, 81.55, 77.73 degrees
Fractional coordinates of all 44 atoms:
O 0.3037 0.0202 0.6863
O 0.6967 0.9914 0.3099
O 0.9104 0.4601 0.7088
O 0.4019 0.6649 0.9132
O 0.9914 0.6967 0.8099
O 0.6649 0.4019 0.4132
O 0.2062 0.0993 0.0148
O 0.7671 0.8231 0.0030
O 0.8231 0.7671 0.5030
O 0.2761 0.9838 0.3426
O 0.9838 0.2761 0.8426
O 0.0202 0.3037 0.1863
O 0.7218 0.0416 0.6544
O 0.0993 0.2062 0.5148
O 0.5428 0.0732 0.7916
O 0.4041 0.5541 0.6080
O 0.5541 0.4041 0.1080
O 0.0416 0.7218 0.1544
O 0.4601 0.9104 0.2088
O 0.0732 0.5428 0.2916
H 0.3825 0.7270 0.6244
H 0.4496 0.8129 0.8733
H 0.1356 0.1697 0.9586
H 0.8578 0.7741 0.9459
H 0.2711 0.6185 0.8842
H 0.7741 0.8578 0.4459
H 0.8957 0.8204 0.0421
H 0.6185 0.2711 0.3842
H 0.2278 0.1447 0.5559
H 0.8129 0.4496 0.3733
H 0.5273 0.2307 0.1088
H 0.8204 0.8957 0.5421
H 0.1697 0.1356 0.4586
H 0.1447 0.2278 0.0559
H 0.2307 0.5273 0.6088
H 0.7270 0.3825 0.1244
C 0.9613 0.4841 0.7869
C 0.5156 0.0462 0.7110
C 0.0462 0.5156 0.2110
C 0.4841 0.9613 0.2869
Li 0.7363 0.4294 0.5352
Li 0.4294 0.7363 0.0352
Co 0.0624 0.9392 0.2501
Co 0.9392 0.0624 0.7501

Calculated values
energy of formation from the pure elements: -1.45 eV per atom
crystal system: monoclinic

This record from the Materials Project describes a geometry-optimized Li3Ni2Ge3O12 structure. The functional is GGA+U.

Cell lengths 10.2635, 10.2635, 10.2635 Å; angles 109.47, 109.47, 109.47 degrees
Fractional coordinates of all 80 atoms:
Li 0.1250 0.2500 0.3750
Li 0.3750 0.1250 0.2500
Li 0.2500 0.3750 0.1250
Li 0.6250 0.8750 0.7500
Li 0.8750 0.7500 0.6250
Li 0.6250 0.2500 0.8750
Li 0.8750 0.6250 0.2500
Li 0.7500 0.1250 0.3750
Li 0.2500 0.8750 0.6250
Li 0.7500 0.6250 0.8750
Li 0.1250 0.3750 0.7500
Li 0.3750 0.7500 0.1250
O 0.8242 0.8012 0.4205
O 0.0963 0.6193 0.4205
O 0.8807 0.9770 0.8012
O 0.8012 0.4205 0.8242
O 0.6988 0.6758 0.0795
O 0.0963 0.9770 0.6758
O 0.1988 0.5795 0.1758
O 0.9770 0.6758 0.0963
O 0.0230 0.1988 0.1193
O 0.8807 0.4037 0.0795
O 0.6758 0.0795 0.6988
O 0.1758 0.4770 0.5963
O 0.8242 0.5230 0.4037
O 0.6193 0.4205 0.0963
O 0.6758 0.0963 0.9770
O 0.4037 0.8242 0.5230
O 0.5795 0.1758 0.1988
O 0.0795 0.6988 0.6758
O 0.9205 0.3012 0.3242
O 0.0795 0.8807 0.4037
O 0.1193 0.0230 0.1988
O 0.3012 0.3242 0.9205
O 0.1193 0.5963 0.9205
O 0.1988 0.1193 0.0230
O 0.5963 0.9205 0.1193
O 0.9770 0.8012 0.8807
O 0.4205 0.0963 0.6193
O 0.4770 0.5963 0.1758
O 0.6193 0.6988 0.5230
O 0.5963 0.1758 0.4770
O 0.3242 0.9205 0.3012
O 0.3807 0.3012 0.4770
O 0.6988 0.5230 0.6193
O 0.3807 0.5795 0.9037
O 0.9037 0.3807 0.5795
O 0.8012 0.8807 0.9770
O 0.3012 0.4770 0.3807
O 0.4205 0.8242 0.8012
O 0.1758 0.1988 0.5795
O 0.0230 0.3242 0.9037
O 0.9205 0.1193 0.5963
O 0.4770 0.3807 0.3012
O 0.9037 0.0230 0.3242
O 0.5230 0.6193 0.6988
O 0.5795 0.9037 0.3807
O 0.4037 0.0795 0.8807
O 0.3242 0.9037 0.0230
O 0.5230 0.4037 0.8242
********
-- The crystal structures stop here --

Not meeting an original goal, deadline or needing to adapt your plan to conditions is not a de facto form of failure and even if there is an element of failure, you still have the option to fail forward by learning from the situation. By focusing on the learning and the incremental steps, we can be agile and adaptable when life throws the unexpected in the path you originally intended to take.


  • Lisa Beth Lentini Walker

    CEO and Founder

    Lumen Worldwide Endeavors

Misplaced materials data:
-- begin --
This record from Materials Project describes YPt3C after structural relaxation. The functional is PBE.

Cell: 4.3244 4.3244 4.3244 Å, 90.00 90.00 90.00°
Space group Pm-3m (No. 221)
Asymmetric unit:
Y1 0.0000 0.0000 0.0000
Pt1 0.0000 0.5000 0.5000
C1 0.5000 0.5000 0.5000

Formation energy   -0.26 eV/atom
Calculated density   14.09 g/cm³
Crystal system   cubic
Calculated total energy   -7.04 eV per atom

***

This record from Materials Project describes PuC2 after structural relaxation. The functional is PBE.

Cell: 3.6601 3.6601 6.1356 Å, 90.00 90.00 90.00°
Space group I4/mmm (No. 139)
Asymmetric unit:
Pu1 0.0000 0.0000 0.0000
C1 0.0000 0.0000 0.3920

Formation energy   0.01 eV/atom
Calculated density   10.83 g/cm³
Crystal system   tetragonal
Calculated total energy   -10.90 eV per atom

***

This record from Materials Project describes PuRh3C after structural relaxation. The functional is PBE.

Cell: 4.2159 4.2159 4.2159 Å, 90.00 90.00 90.00°
Space group Pm-3m (No. 221)
Asymmetric unit:
Pu1 0.0000 0.0000 0.0000
Rh1 0.0000 0.5000 0.5000
C1 0.5000 0.5000 0.5000

Formation energy   -0.21 eV/atom
Calculated density   12.51 g/cm³
Crystal system   cubic
Calculated total energy   -9.33 eV per atom

***

This record from Materials Project describes PuU4C5 after structural relaxation. The functional is PBE.

Cell: 3.5823 3.5823 42.5880 Å, 90.00 90.00 120.00°
Space group R-3m (No. 166, hexagonal axes)
Asymmetric unit:
Pu1 0.0000 0.0000 0.0000
U1 0.0000 0.0000 0.2004
U2 0.0000 0.0000 0.3985
C1 0.0000 0.0000 0.0992
C2 0.0000 0.0000 0.2994
C3 0.0000 0.0000 0.5000

Formation energy   0.05 eV/atom
Calculated density   13.22 g/cm³
Crystal system   trigonal
Calculated total energy   -10.50 eV per atom

***

This record from Materials Project describes PuUC2 after structural relaxation. The functional is PBE.

Cell: 3.5834 3.5834 16.9401 Å, 90.00 90.00 120.00°
Space group R-3m (No. 166, hexagonal axes)
Asymmetric unit:
Pu1 0.0000 0.0000 0.0000
U1 0.0000 0.0000 0.5000
C1 0.0000 0.0000 0.2386

Formation energy   -0.10 eV/atom
Calculated density   13.38 g/cm³
Crystal system   trigonal
Calculated total energy   -11.10 eV per atom

***

This record from Materials Project describes Pu2W2C3 after structural relaxation. The functional is PBE.

Cell: 11.6939 3.0592 5.5068 Å, 90.00 107.00 90.00°
Space group C2/m (No. 12)
Asymmetric unit:
Pu1 0.1075 0.0000 0.3238
W1 0.1497 0.5000 0.8597
C1 0.0000 0.5000 0.0000
C2 0.2482 0.0000 0.7427

Formation energy   0.01 eV/atom
Calculated density   15.72 g/cm³
Crystal system   monoclinic
Calculated total energy   -11.72 eV per atom

***

This record from Materials Project describes PuWC2 after structural relaxation. The functional is PBE.

Cell: 5.6983 3.2918 10.9360 Å, 90.00 90.00 90.00°
Space group Pnma (No. 62)
Asymmetric unit:
Pu1 0.0850 0.2500 0.1397
W1 0.0869 0.7500 0.3931
C1 0.1617 0.2500 0.7546
C2 0.2361 0.2500 0.4893

Formation energy   -0.19 eV/atom
Calculated density   14.63 g/cm³
Crystal system   orthorhombic
-- stop --

    Lisa Beth Lentini Walker is the CEO and Founder of Lumen Worldwide Endeavors, a firm specializing in compliance, governance and ethics consulting as well as executive coaching to improve performance and well-being.  Lisa Beth is a skilled global business partner that has led award winning legal and compliance departments within large public corporations and privately held enterprises.  Given the high stress, high stakes world of law and compliance, Lisa Beth saw the need for a greater appreciation and focus on well-being and holistic health outcomes in the risk professions.  She is certified as a mindfulness and meditation instructor and has completed Health and Well-Being Coaching courses. Lumen Worldwide Endeavors is a woman owned small business and a Female Founder Collective member.